(Listing)
~~~
Structure and simulated powder diffraction line list of CeGaPd4 (a structure optimized by DFT (PBE); Cu Kα (weighted mean of Kα1 and Kα2)).
Peak positions follow from Bragg's law for the DFT cell and can differ from measured ones.

Most intense lines, 10 to 90 degrees two-theta, by angle:
2θ 32.1, d 2.787, rel. 23; 2θ 32.2, d 2.776, rel. 17; 2θ 38.1, d 2.365, rel. 61; 2θ 38.3, d 2.352, rel. 47; 2θ 42.0, d 2.150, rel. 100; 2θ 50.8, d 1.796, rel. 21; 2θ 71.1, d 1.326, rel. 14; 2θ 71.8, d 1.315, rel. 20

a = 17.033 Å, b = 4.703 Å, c = 5.552 Å
α = 90.00°, β = 108.97°, γ = 90.00°
Space group C2/m (No. 12)
One atom of each set of equivalent atoms:
Ce: 0.250 0.000 0.191 (multiplicity 4)
Ga: 0.000 0.000 0.500 (multiplicity 2)
Ga: 0.000 0.500 0.000 (multiplicity 2)
Pd: 0.080 0.000 0.979 (multiplicity 4)
Pd: 0.081 0.500 0.682 (multiplicity 4)
Pd: 0.156 0.000 0.557 (multiplicity 4)
Pd: 0.157 0.500 0.256 (multiplicity 4)
~~~
(Request)
Echo only the lines further up with the word "structure" in them.
(Here it is)
Structure and simulated powder diffraction line list of CeGaPd4 (a structure optimized by DFT (PBE); Cu Kα (weighted mean of Kα1 and Kα2)).